PAKISTAN: Government blames mothers for malnutrition deaths of children
**What comes next are records of crystals, not part of the page:**
<<<
1.
Diffraction record for BiPd3Au2. The X-ray powder pattern is simulated, not measured: it uses a PBE-relaxed structure and Cu Kα (weighted mean of Kα1 and Kα2).

Main lines, sorted by position (2θ from 15° to 90°):
| two_theta | I (rel.) |
| --- | --- |
| 27.00 | 11 |
| 38.55 | 100 |
| 47.69 | 3 |
| 50.44 | 1 |
| 55.66 | 17 |
| 62.93 | 4 |
| 69.75 | 35 |
| 82.63 | 11 |
| 88.87 | 1 |
| 88.94 | 1 |

Structural model:
abc: 4.669 4.669 5.726
angles: 90.00 90.00 120.00
Element x y z (fractional)
Bi: 0.000 0.000 0.000
Pd: 0.000 0.000 0.500
Pd: 0.333 0.667 0.162
Pd: 0.667 0.333 0.838
Au: 0.333 0.667 0.650
Au: 0.667 0.333 0.350

=====

2.
Diffraction record for Bi2Pd8Au. The X-ray powder pattern is simulated, not measured: it uses a PBE-relaxed structure and Cu Kα (weighted mean of Kα1 and Kα2).

Main lines, sorted by position (2θ from 15° to 90°):
| two_theta | I (rel.) |
| --- | --- |
| 23.84 | 9 |
| 28.86 | 10 |
| 36.85 | 16 |
| 39.30 | 100 |
| 40.22 | 9 |
| 40.48 | 34 |
| 42.05 | 18 |
| 59.79 | 13 |
| 72.84 | 16 |
| 79.57 | 9 |

Structural model:
abc: 7.628 7.628 7.628
angles: 146.03 64.63 126.80
Element x y z (fractional)
Bi: 0.151 0.000 0.151
Bi: 0.849 0.000 0.849
Pd: 0.135 0.790 0.345
Pd: 0.286 0.286 0.000
Pd: 0.413 0.561 0.852
Pd: 0.446 0.790 0.655
Pd: 0.583 0.277 0.306
Pd: 0.709 0.561 0.148
Pd: 0.971 0.277 0.694
Pd: 0.997 0.497 0.500
Au: 0.578 0.078 0.500

~~~~~

[1]
Structure and simulated PXRD pattern of YRe4B4 (a structure optimized by DFT (PBE); λ = 1.5418 Å (Cu Kα)).

Cell and atoms:
```
data_YRe4B4
_space_group_name_H-M_alt 'P 1'
_space_group_IT_number 1
_cell_length_a 5.3635
_cell_length_b 5.3635
_cell_length_c 7.7184
_cell_angle_alpha 90.00
_cell_angle_beta 90.00
_cell_angle_gamma 90.00
loop_
_space_group_symop_operation_xyz
'x,y,z'
loop_
_atom_site_label
_atom_site_type_symbol
_atom_site_fract_x
_atom_site_fract_y
_atom_site_fract_z
Y1 Y 0.2500 0.7500 0.2500
Y2 Y 0.7500 0.2500 0.7500
Re1 Re 0.9996 0.2500 0.1100
Re2 Re 0.0004 0.7500 0.8900
Re3 Re 0.2500 0.9996 0.6100
Re4 Re 0.2500 0.5004 0.6100
Re5 Re 0.5004 0.2500 0.1100
Re6 Re 0.4996 0.7500 0.8900
Re7 Re 0.7500 0.0004 0.3900
Re8 Re 0.7500 0.4996 0.3900
B1 B 0.0812 0.2500 0.3920
B2 B 0.2500 0.0812 0.8920
B3 B 0.2500 0.4188 0.8920
B4 B 0.4188 0.2500 0.3920
B5 B 0.5812 0.7500 0.6080
B6 B 0.7500 0.5812 0.1080
B7 B 0.7500 0.9188 0.1080
B8 B 0.9188 0.7500 0.6080
```

The 12 most intense peaks (10° ≤ 2θ ≤ 90°), in order of rising 2θ:
20.16 deg, intensity 30
28.49 deg, intensity 66
35.43 deg, intensity 100
38.82 deg, intensity 46
39.33 deg, intensity 56
44.47 deg, intensity 47
47.98 deg, intensity 31
49.07 deg, intensity 16
69.50 deg, intensity 29
70.19 deg, intensity 16
70.37 deg, intensity 21
81.16 deg, intensity 20

=====

[2]
Structure and simulated PXRD pattern of LaSi5 (a structure optimized by DFT (PBE); λ = 1.5418 Å (Cu Kα)).

Cell and atoms:
```
data_LaSi5
_space_group_name_H-M_alt 'P 1'
_space_group_IT_number 1
_cell_length_a 7.8029
_cell_length_b 7.8029
_cell_length_c 8.4346
>>>
**Back to the page:**
Children with sunken eyes and protruding bones, struggling to breathe; mothers watching haplessly as their children die in front of their eyes; this sad reality was not happening in Somalia or Ethiopia, but in a country that is the seventh atomic power of the world. The ongoing drought in Pakistan’s Tharparkar district, Sindh province has devoured at least 650 children during the last three years, with more than 562 dead in 2014 alone, according to media reports ( Tharparkar district covers over 22,000 square kilometers, with a population of around 1.5 million. The region is termed as “the only fertile desert in the world”, yet has the lowest Human Development Index in all of Sindh.
The first 14 days of 2016 saw some 55 children dying of malnutrition, pneumonia and an outbreak of water born diseases in Tharparkar and adjoining areas. Forty children are still under treatment in different towns of Islam Kot, Mithi, Chachro, Nagar Parker and other areas, but all hospitals lack adequate facilities for the nursery wards.
Two provincial ministers who visited the area blamed underage marriages and carelessness of mothers for the child deaths. Moreover, they noted that only 19 children died in Thar hospitals, while a few newborn babies died in remote villages while going to hospital. The ministers blamed the media for depicting a doomsday like situation in Thar.
Despite print, electronic and foreign media all reporting the same child death statistics, the government continues to deny the figures. The provincial food minister has also attributed the sudden rise in child deaths due to a lack of awareness about handling newborns, and mothers’ delayed arrival at medical facilities.
Yet, the government has not taken any serious action to provide adequate health and food access for pregnant women. According to a report submitted in Sindh High Court by the Chief Secretary in December 2014, the majority of people living in Thar are Hindu, who do not eat meat or fish, and rely on vegetables, chilies, dairy and other local products for their nutritional needs. Their intake of proteins/energy/fats and other requisite calorific values is thus relatively lesser. The report therefore concludes the weakness in women revolves around the non-consumption of a protein-rich diet, as well as their cultural patterns.
For many years the Tharparkar region has had persistently high rates of acute malnutrition exceeding emergency thresholds. Rates of severe acute malnutrition (SAM) are particularly high, with a national average of 5.8%. Pakistan is second only to India in contributing to the global burden of SAM. The majority of SAM cases are under 24 months old.
For the past two years, the Tharparkar district is facing serious drought. Low rainfall in 2013-14 and its impact on food stocks and livestock, together with poor sanitation and hygiene, limited availability of clean drinking water, limited access to health care services have all aggravated the nutritional situation further. The media is now reporting a rise in morbidity and mortality (
Parents of sick children have complained that doctors at Thar’s main hospital, Civil Hospital Mithi, refused to admit their sick children and asked them to go to Hyderabad, 150 kilometers away, for treatment. Even parents of children who were admitted, were also forced by doctors and paramedics to go to other cities for proper treatment. According to the parents, it was an attempt by health officials to hide their incompetence and divert attention from the fact that children were again dying of malnutrition and other diseases.
People have no access to clean drinking water, food supplies, appropriate dwellings or shelter from heat. Despite high casualties—the death of more than 600 children and livestock losses over the last three years—the calamity that has engulfed many lives is yet to be effectively addressed by the government. People are forced to borrow money from moneylenders on 100 percent interest for staple food, fodder and medical treatment.
Moreover, the government has done little to improve health facilities. No efforts have been made to fill the 134 vacancies for doctors in Thar District. Only 298 doctors are available, which includes child specialists and female doctors. Over 215 dispensaries remain non-functional in Thar’s remote villages. According to inquiries by Dawn, of Tharparkar’s 26 posts of doctors, 25 are vacant.
Someone pasted data records at this point =
********
1.
Diffraction record for Sc4IrAu. The powder diffraction line list is computed, not measured: it uses a DFT-relaxed cell (GGA-PBE, Alexandria) and Cu Kα.

abc: 7.7063 4.5187 14.6579
angles: 90.00 90.00 90.00
Space group Pnma (No. 62)
Asymmetric unit:
Sc 0.0158 0.2500 0.0833 [4 per cell]
Sc 0.0843 0.2500 0.7712 [4 per cell]
Sc 0.1330 0.2500 0.3372 [4 per cell]
Sc 0.1502 0.2500 0.5651 [4 per cell]
Ir 0.1953 0.7500 0.6798 [4 per cell]
Au 0.2473 0.7500 0.4427 [4 per cell]

Largest 12 diffraction maxima, low angle first, 2θ = 10–90°:
| 2θ (°) | I_rel | (hkl) |
| --- | --- | --- |
| 23.1 | 493 | 2 0 0 |
| 23.6 | 1000 | 1 1 1 |
| 26.9 | 891 | 1 0 4 |
| 33.6 | 274 | 1 1 4 |
| 35.7 | 626 | 2 1 3 |
| 36.5 | 566 | 0 1 5 |
| 39.9 | 445 | 0 2 0 |
| 40.9 | 292 | 3 1 1 |
| 43.0 | 294 | 3 0 4 |
| 43.7 | 399 | 2 1 5 |
| 48.8 | 321 | 1 2 4 |
| 60.1 | 216 | 3 2 4 |

---

2.
Diffraction record for Sc8IrAu2. The powder diffraction line list is computed, not measured: it uses a DFT-relaxed cell (GGA-PBE, Alexandria) and Cu Kα.

abc: 4.6656 7.5839 13.0300
angles: 90.00 90.00 90.00
Space group Immm (No. 71)
Asymmetric unit:
Sc 0.0000 0.0000 0.1245 [4 per cell]
Sc 0.0000 0.2224 0.3460 [8 per cell]
Sc 0.0000 0.3266 0.0000 [4 per cell]
Ir 0.0000 0.5000 0.5000 [2 per cell]
Au 0.0000 0.5000 0.2000 [4 per cell]

Largest 12 diffraction maxima, low angle first, 2θ = 10–90°:
| 2θ (°) | I_rel | (hkl) |
| --- | --- | --- |
| 22.4 | 719 | 1 1 0 |
| 23.5 | 257 | 0 2 0 |
| 23.6 | 469 | 0 1 3 |
| 28.1 | 152 | 1 0 3 |
| 35.6 | 384 | 1 1 4 |
| 36.4 | 158 | 0 1 5 |
| 36.9 | 1000 | 1 2 3 |
| 38.6 | 316 | 2 0 0 |
| 40.6 | 155 | 1 3 0 |
| 45.7 | 267 | 2 2 0 |
| 48.0 | 129 | 0 4 0 |
| 68.7 | 155 | 3 2 3 |

---

3.
Diffraction record for Si2IrAu. The powder diffraction line list is computed, not measured: it uses a DFT-relaxed cell (GGA-PBE, Alexandria) and Cu Kα.

abc: 3.0565 4.7536 4.6991
angles: 90.00 108.75 90.00
Space group Pm (No. 6)
Asymmetric unit:
Si 0.0000 0.0000 0.0000 [1 per cell]
Si 0.3849 0.5000 0.7648 [1 per cell]
Ir 0.0900 0.5000 0.1799 [1 per cell]
Au 0.2794 0.0000 0.5524 [1 per cell]

Largest 12 diffraction maxima, low angle first, 2θ = 10–90°:
| 2θ (°) | I_rel | (hkl) |
| --- | --- | --- |
| 20.0 | 118 | 0 0 1 |
| 27.5 | 1000 | 0 1 1 |
| 30.9 | 872 | 1 0 -1 |
| 36.4 | 251 | 1 1 0 |
| 37.9 | 427 | 0 2 0 |
| 40.5 | 126 | 0 0 2 |
| 45.0 | 297 | 0 1 2 |
| 46.7 | 395 | 1 1 1 |
| 46.8 | 393 | 1 1 -2 |
| 49.7 | 474 | 1 2 -1 |
| 73.4 | 140 | 0 3 2 |
| 73.7 | 124 | 2 2 -1 |

---

4.
Diffraction record for Sm8Ir3Au2. The powder diffraction line list is computed, not measured: it uses a DFT-relaxed cell (GGA-PBE, Alexandria) and Cu Kα.

abc: 10.0639 14.3583 4.9447
angles: 90.00 90.00 90.00
Space group Cmmm (No. 65)
Asymmetric unit:
Sm 0.0000 0.1168 0.0000 [4 per cell]
Sm 0.0000 0.3817 0.0000 [4 per cell]
Sm 0.2455 0.3821 0.5000 [8 per cell]
Ir 0.0000 0.5000 0.5000 [2 per cell]
Ir 0.2449 0.0000 0.0000 [4 per cell]
Au 0.0000 0.2415 0.5000 [4 per cell]
********
End of the data records =
The Sindh government must come out of its inertia and take concrete steps to address the problems facing Tharparkar district. Rather than blaming early marriages and careless mothers in a reactive manner to the crisis, it should take proactive responsibility to secure the life and dignity of its citizens and children. The government should immediately provide Thar with portable water and reinstate the reverse osmosis plants installed to provide water to rain-dependant inhabitants of Thar. It should increase funding to the Civil Hospital in Mithi and to the Basic Health Units in the villages and towns of Thar. The plans of Benazir Bhutto Dastarkhawan, Mithi Nursing Hospital, Thar Water Management Board and Thar Food Bank announced by the PPP-led Sindh government, should be urgently implemented. Health and nutrition education should also be provided to women.